The rise and fall of interactive movies

Bringing in the stars

Sadly, few companies bothered taking the time and effort to improve the general standard. Instead, they went for quick fixes. The word 'Starring' has rarely been so universally abused. When Critical Path proudly announced 'Starring Eileen Weisinger as Kat', it was with the desperate hope that you didn't know she was a stuntwoman.

Games would proudly trumpet big names like Dennis Hopper and Tim Curry... hell, even names like Margot Kidder and Dirk Benedict, regardless of how much time they actually spent on screen, or whether they were an important character or simply a comedy bartender, like John Hurt's character in Privateer 2: The Darkening.

Most of the time, these were simply small, irrelevant jobs that known actors would agree to do between 'real' jobs, spend a day or so filming, then never think about again. Dennis Hopper agreed to star in Take Two's Hell not because of a desire to be part of the endless creative possibilities of videogame/movie crossovers, but because CEO Ryan Brant was a friend of the family.

The Wing Commander games are arguably the only ones where known actors have emerged smelling of roses. It helped that unlike many, these games had a real budget – a then-insane $4 million for Wing Commander III, which used the standard bluescreen technique, and $12 million for the fourth game, which finally allowed for actual sets and physical special effects.

Mark Hamill's performance as world-weary space hero Christopher Blair grounded the series in a way that surprised everyone who thought Origin had just hired Luke Skywalker as a gimmick, while Tom Wilson (as the arrogant but insecure pilot Maniac) was pleased to be recognised as something other than Biff Tannen from the Back to the Future movies.

Malcolm McDowell and John Rhys-Davies also showed up and gave excellent performances, to the point that the fourth game's most exciting moment wasn't the last battle, but the FMV debate that followed it, where you had to talk a council chamber full of diplomats into acknowledging the bad guy's naughtiness.

Sadly, the story didn't end well. Series creator Chris Roberts had the chance to make the real Wing Commander movie he'd always wanted – which bombed harder than the Dambusters at the box office. A terrible movie. And a terrible end to the series.


One of the oddest things about interactive movies was how restrained they were. This was at least partly a political issue, thanks to Night Trap – a Sega CD game that quickly found itself banned and brought up in the US Senate as an example of a video game nasty. Clearly, a horrific nightmare of blood and gore, right? Well, no. It really didn't deserve any of this.

As with Rockstar's Bully, the controversy was based on a misunderstanding – that the player's job was to spy on and murder a group of nubile co-eds at a slumber party. Instead, it was a parody of the slasher genre, involving activating Scooby Doo style traps to protect them from a band of PG-rated vampires.

-- What comes next are calculated crystals, not part of the article --
┌──
Here is a geometry-optimized Na3VS2O8F2 structure from Materials Project. Energies are from GGA+U.

It has space group Pbcn (No. 60), with a = 9.010 Å, b = 14.190 Å, c = 6.756 Å, α = 90.00°, β = 90.00° and γ = 90.00°. The asymmetric unit holds Na at (0.000, 0.049, 0.250), Na at (0.167, 0.403, 0.018), V at (0.000, 0.198, 0.750), S at (0.194, 0.357, 0.501), O at (0.056, 0.300, 0.553), O at (0.143, 0.436, 0.378), O at (0.208, 0.207, 0.884), O at (0.234, 0.111, 0.184) and F at (0.070, 0.098, 0.576).

As for the corrected total energy (MP2020 scheme): -6.43 eV per atom. The calculation puts the formation energy at -2387.8 meV/atom. The calculation puts the raw total energy at -5.9264 eV/atom.


Arrangement w

Entry from Materials Project: a relaxed structure of Li2FePCO7 (PBE with a Hubbard U).

The structure in POSCAR format:
```
Li2FePCO7
1.0
0.143 7.389 3.574
-8.491 1.105 3.645
5.254 -0.973 6.312
O Fe Li C P
28 4 8 4 4
direct
0.139 0.909 0.644
0.639 0.909 0.144
0.458 0.300 0.610
0.451 0.821 0.765
0.900 0.574 0.343
0.330 0.682 0.229
0.600 0.426 0.156
0.342 0.539 0.449
0.170 0.318 0.271
0.361 0.091 0.856
0.842 0.539 0.949
0.670 0.318 0.771
0.126 0.926 0.133
0.861 0.091 0.356
0.042 0.700 0.891
0.874 0.074 0.867
0.830 0.682 0.729
0.049 0.179 0.734
0.374 0.074 0.367
0.958 0.300 0.109
0.158 0.461 0.051
0.658 0.461 0.551
0.542 0.700 0.390
0.400 0.575 0.844
0.627 0.926 0.633
0.100 0.426 0.656
0.549 0.179 0.235
0.951 0.821 0.266
0.310 0.331 0.435
0.190 0.669 0.065
0.690 0.669 0.564
0.810 0.330 0.935
0.188 0.101 0.082
0.255 0.728 0.712
0.755 0.728 0.212
0.812 0.899 0.918
0.245 0.272 0.788
0.688 0.102 0.582
0.745 0.272 0.288
0.312 0.899 0.418
0.526 0.048 0.245
0.974 0.952 0.255
0.026 0.048 0.745
0.475 0.952 0.755
0.955 0.581 0.801
0.545 0.419 0.699
0.455 0.581 0.301
0.045 0.418 0.199
```



Arrangement x

Entry from Materials Project: a relaxed structure of Li2FePCO7 (PBE with a Hubbard U).

The structure in POSCAR format:
```
Li2FePCO7
1.0
8.347 0.000 0.000
0.000 6.491 0.000
-0.888 0.000 10.156
Li Fe P C O
8 4 4 4 28
direct
0.098 0.249 0.369
0.098 0.251 0.869
0.278 0.036 0.623
0.278 0.464 0.123
0.722 0.536 0.877
0.722 0.964 0.377
0.902 0.749 0.131
0.902 0.751 0.631
0.329 0.749 0.851
0.329 0.751 0.351
0.671 0.249 0.649
0.671 0.251 0.149
0.420 0.242 0.388
0.420 0.258 0.888
0.580 0.742 0.112
0.580 0.758 0.612
0.040 0.741 0.899
0.040 0.759 0.399
0.960 0.241 0.601
0.960 0.259 0.101
0.076 0.739 0.277
0.076 0.761 0.777
0.102 0.219 0.567
0.102 0.281 0.067
0.164 0.745 0.987
0.164 0.755 0.487
0.305 0.059 0.353
0.305 0.441 0.853
0.317 0.068 0.842
0.317 0.432 0.342
0.421 0.724 0.178
0.421 0.776 0.678
0.462 0.241 0.541
0.462 0.259 0.041
0.538 0.741 0.959
0.538 0.759 0.459
0.579 0.224 0.322
0.579 0.276 0.822
0.683 0.568 0.658
0.683 0.932 0.158
0.695 0.559 0.147
0.695 0.941 0.647
0.836 0.245 0.513
0.836 0.255 0.013
0.898 0.719 0.933
0.898 0.781 0.433
0.924 0.239 0.223
0.924 0.261 0.723
```



Which one sits at the bottom of the stability order? arrangement x does.
└──

Now that devs knew they didn't have to do anything wrong to get it in the neck themselves, it's no wonder they became very cautious. Even some of the actors expressed concern, notably Tia Carrere, who specifically requested that she not be directly killable by the player character in The Daedalus Encounter, even if they had wasted good money to see Wayne's World 2.